### File
=====
Starting from a crystal structure in Alexandria, relaxed with GGA-PBE, the XRD peak list of KTaTlSe4 was calculated for CuKα.
No peak broadening, texture or thermal motion is included.

Peak list (10 most intense, 2θ from 5° to 70°, by angle)
d [Å], 2theta, I/Imax
11.595, 7.62, 100
5.469, 16.21, 69
4.504, 19.71, 52
4.162, 21.35, 72
3.451, 25.82, 73
3.277, 27.21, 67
2.897, 30.87, 50
2.716, 32.98, 46
2.332, 38.61, 44
2.231, 40.44, 40

Structural model:
```
KTaTlSe4
1.0
7.1761 0.0000 0.0000
0.0000 6.2021 0.0000
-1.9886 0.0000 11.5950
K Ta Tl Se
2 2 2 8
direct
0.2361 0.2500 0.4217
0.7639 0.7500 0.5783
0.3255 0.7500 0.7380
0.6745 0.2500 0.2620
0.2337 0.2500 0.9544
0.7663 0.7500 0.0456
0.0645 0.7500 0.8410
0.2351 0.7500 0.5327
0.4373 0.5218 0.1937
0.4373 0.9782 0.1937
0.5627 0.0218 0.8063
0.5627 0.4782 0.8063
0.7649 0.2500 0.4673
0.9355 0.2500 0.1590
```

Starting from a crystal structure in Alexandria, relaxed with GGA-PBE, the XRD peak list of KTb4Se6 was calculated for CuKα.
No peak broadening, texture or thermal motion is included.

Peak list (10 most intense, 2θ from 5° to 70°, by angle)
d [Å], 2theta, I/Imax
10.900, 8.11, 75
3.682, 24.17, 48
3.212, 27.78, 41
3.043, 29.35, 60
2.958, 30.22, 77
2.833, 31.59, 100
2.245, 40.16, 37
2.112, 42.81, 59
2.069, 43.76, 70
2.028, 44.67, 52

Structural model:
```
KTb4Se6
1.0
2.0703 -6.8767 0.0000
2.0703 6.8767 0.0000
0.0000 0.0000 21.7992
K Tb Se
2 8 12
direct
0.1551 0.8449 0.7500
0.8449 0.1551 0.2500
0.0973 0.9027 0.1331
0.0973 0.9027 0.3669
0.3676 0.6324 0.0414
0.3676 0.6324 0.4586
0.6324 0.3676 0.5414
0.6324 0.3676 0.9586
0.9027 0.0973 0.6331
0.9027 0.0973 0.8669
0.0000 0.0000 0.0000
0.0000 0.0000 0.5000
0.1641 0.8359 0.2500
0.2717 0.7283 0.5803
0.2717 0.7283 0.9197
0.4616 0.5384 0.1545
0.4616 0.5384 0.3455
0.5384 0.4616 0.6545
0.5384 0.4616 0.8455
0.7283 0.2717 0.0803
0.7283 0.2717 0.4197
0.8359 0.1641 0.7500
```

Starting from a crystal structure in Alexandria, relaxed with GGA-PBE, the XRD peak list of KTeSe2 was calculated for CuKα.
No peak broadening, texture or thermal motion is included.

Peak list (10 most intense, 2θ from 5° to 70°, by angle)
d [Å], 2theta, I/Imax
5.447, 16.27, 100
4.164, 21.34, 18
3.075, 29.04, 28
2.798, 31.98, 23
2.724, 32.88, 32
2.679, 33.45, 54
2.489, 36.09, 43
2.039, 44.42, 13
2.002, 45.30, 17
1.952, 46.53, 16

Structural model:
```
KTeSe2
1.0
4.0116 0.0000 0.0000
0.0000 5.4473 0.0000
-1.3895 0.0000 6.4576
K Te Se
1 1 2
direct
0.0000 0.0000 0.0000
0.1389 0.5000 0.4059
0.5125 0.5000 0.0794
0.7302 0.5000 0.7102
```

=====

Starting from a cell relaxed with GGA-PBE, the X-ray powder pattern of Dy2Zr8O19 was simulated for a wavelength of 1.5418 Å.
Kinematic intensities with the Lorentz-polarization factor, no thermal factor.

Crystal structure
Cell: 3.644 3.644 25.738 Å, 90.00 90.00 90.00°
Positions (direct):
Dy (0.000, 0.500, 0.056)
Dy (0.500, 0.000, 0.944)
Zr (0.000, 0.500, 0.252)
Zr (0.000, 0.500, 0.450)
Zr (0.000, 0.500, 0.649)
Zr (0.000, 0.500, 0.847)
Zr (0.500, 0.000, 0.153)
Zr (0.500, 0.000, 0.351)
Zr (0.500, 0.000, 0.550)
Zr (0.500, 0.000, 0.748)
O (0.000, 0.000, 0.000)
O (0.000, 0.000, 0.109)
O (0.000, 0.000, 0.207)
O (0.000, 0.000, 0.305)
O (0.000, 0.000, 0.403)
=====

### Activity
What is needed: search the listing above for the word "wavelength" and copy each line that has it.

### Response
Starting from a cell relaxed with GGA-PBE, the X-ray powder pattern of Dy2Zr8O19 was simulated for a wavelength of 1.5418 Å.